Work order.
Your job: find "0.401)" and "(0.345, 0.455," in the listing below, and restate these two lines and those between.

File.
<<<
Here is a relaxed structure of KPb2Cl5 from Materials Project. Energies are from meta-GGA r2SCAN.

Cell: 8.107 8.835 12.495 Å, 90.00 90.00 90.00°
Fractional positions:
K (0.529, 0.505, 0.172)
K (0.971, 0.505, 0.672)
K (0.029, 0.005, 0.328)
K (0.471, 0.005, 0.828)
Pb (0.497, 0.015, 0.181)
Pb (0.582, 0.248, 0.497)
Pb (0.918, 0.248, 0.997)
Pb (0.003, 0.015, 0.681)
Pb (0.997, 0.515, 0.319)
Pb (0.082, 0.748, 0.003)
Pb (0.418, 0.748, 0.503)
Pb (0.503, 0.515, 0.819)
Cl (0.547, 0.243, 0.004)
Cl (0.646, 0.732, 0.690)
Cl (0.676, 0.539, 0.410)
Cl (0.655, 0.955, 0.401)
Cl (0.687, 0.262, 0.723)
Cl (0.813, 0.262, 0.223)
Cl (0.845, 0.955, 0.901)
Cl (0.824, 0.539, 0.910)
Cl (0.854, 0.732, 0.190)
Cl (0.953, 0.243, 0.504)
Cl (0.047, 0.743, 0.496)
Cl (0.146, 0.232, 0.810)
Cl (0.155, 0.455, 0.099)
Cl (0.176, 0.039, 0.090)
Cl (0.187, 0.762, 0.777)
Cl (0.313, 0.762, 0.277)
Cl (0.324, 0.039, 0.590)
Cl (0.345, 0.455, 0.599)
Cl (0.354, 0.232, 0.310)
Cl (0.453, 0.743, 0.996)

Summary:
- E_tot: -646.41 eV per cell
- ΔE to the lowest computed polymorph: 0.013 eV/atom
>>>

Completed.
Cl (0.655, 0.955, 0.401)
Cl (0.687, 0.262, 0.723)
Cl (0.813, 0.262, 0.223)
Cl (0.845, 0.955, 0.901)
Cl (0.824, 0.539, 0.910)
Cl (0.854, 0.732, 0.190)
Cl (0.953, 0.243, 0.504)
Cl (0.047, 0.743, 0.496)
Cl (0.146, 0.232, 0.810)
Cl (0.155, 0.455, 0.099)
Cl (0.176, 0.039, 0.090)
Cl (0.187, 0.762, 0.777)
Cl (0.313, 0.762, 0.277)
Cl (0.324, 0.039, 0.590)
Cl (0.345, 0.455, 0.599)